Contents:
____________
143
Properties=species:S:1:pos:R:3 method="wB97M-V/def2-TZVPD" relative_energy_kj_mol=1148.7 lumo_ev=-0.17 gap_ev=10.74 e_tot_ha=-10110.11225
S -1.05539 -1.40164 -0.57261
S -2.31951 -7.14268 -6.08529
S 4.94958 -2.59614 -2.65032
S -3.46795 9.96973 2.22416
S -6.15930 -9.62831 1.65268
S 3.35509 -2.96434 6.30478
S 1.77122 6.73834 -3.65815
S 8.66800 4.99751 -0.60334
S -2.04834 1.59437 -5.96008
S -3.98074 0.28188 6.34476
S -7.49134 5.32198 1.10355
S 2.05948 5.72154 4.01105
S 2.13585 -9.00585 -0.63010
O -1.27663 -2.70533 0.15833
O -5.32126 0.93917 7.08799
O 2.80038 -9.33511 0.91935
O 7.79435 4.20293 -1.76341
O -7.84924 6.86519 1.52322
O -3.23571 -7.80436 -7.01858
O 2.62873 4.21743 4.54113
O -5.28452 -10.05115 2.71791
O -0.92926 -1.43698 -2.02440
O -6.87029 5.38253 -0.20906
O 6.50567 -2.62072 -3.22565
O -4.40373 -1.19720 6.85483
O 0.27875 -0.54251 0.00528
O 0.66709 5.90104 4.50016
O 5.25699 -3.98037 -1.63464
O -2.12843 1.29398 -7.56957
O -4.43653 10.35465 3.30433
O 1.52429 -10.51633 -0.70614
O -4.02729 10.18421 0.63366
O 3.47285 -2.12606 4.84013
O -3.44039 8.30313 2.03895
O 3.26281 6.97070 -3.06504
O -2.14986 3.04156 -6.01249
O -4.30000 0.36758 4.93054
O 0.81969 7.75978 -3.35764
O -0.78712 -7.93041 -6.01164
O 1.39037 5.39867 -3.38630
O 7.60748 4.53922 0.58478
O -2.97161 0.77587 -5.19696
O -9.12395 4.97207 0.94828
O -1.56080 -5.79106 -6.73676
O 3.26933 6.41330 4.92476
O -2.62382 0.63921 6.88186
O 8.63793 6.44326 -0.83016
O 2.33509 6.79111 -5.18140
O -2.09406 -0.18968 -0.08879
O 3.22712 -4.44715 5.59977
O 4.06715 -2.88354 -3.78832
O 1.14245 -7.91667 -0.58645
O -2.11094 10.46565 2.37646
O -2.64792 -6.88282 -4.66490
O 4.60560 -2.92922 7.06971
O 3.19189 -8.84435 -1.66180
O 9.96563 4.29685 -0.39387
O 2.06491 -2.63801 7.01461
O -7.56772 -9.87351 1.94784
O -0.45044 1.13797 -5.71530
O -5.66973 -10.23074 0.16569
O -6.76569 4.57115 2.15078
O 4.73279 -1.38367 -1.91679
O -5.91285 -8.07934 1.15232
O 2.35637 5.86813 2.63500
C -1.42279 1.03774 0.00349
C -9.98090 6.04630 1.25819
C -4.88671 -7.98352 0.14124
C 7.36598 -3.26919 -2.37974
C 6.32094 4.40269 0.07596
C -0.22325 -5.63163 -6.25620
C -5.72704 -1.26869 7.41732
C 3.39851 -4.26727 4.18788
C 4.07353 7.73967 -3.91638
C -4.69121 -9.43232 -0.48221
C 0.26078 -7.03129 -6.19410
C 2.93051 4.24823 5.92209
C 0.16419 0.81233 -6.96503
C 3.43712 7.55558 -5.32265
C 6.55542 3.69756 -1.26956
C 6.52982 -4.34230 -1.72016
C -0.01139 0.74063 0.52329
C 2.85507 -10.74448 1.21609
C -1.01287 0.49525 -7.92552
C -6.15090 0.09008 7.78312
C -9.12348 6.93514 2.06210
C 3.05826 -2.88141 3.72461
C -3.62405 9.09397 -0.15731
C -2.89634 8.10621 0.73566
C 2.32022 -11.51539 0.01085
C 3.75280 5.57067 5.95073
H 8.15637 -3.74892 -2.95703
H -7.22281 0.22298 7.63663
H 0.74254 1.63934 -7.37694
H -9.51659 7.95154 2.03907
H 5.05335 7.26392 -3.95770
H 3.87312 5.99197 6.94880
H 0.00491 -5.26414 -5.25570
H -2.97918 7.06521 0.42333
H 3.91908 -10.97112 1.28392
H 5.71829 3.71028 0.66374
H 5.89850 5.37814 -0.16513
H 0.06605 0.58641 1.59955
H 1.07841 -7.06191 -5.47394
H -5.99514 0.31496 8.83823
H 4.14209 6.94656 -5.88852
H 6.81143 -4.59394 -0.69766
H 1.98893 -2.68751 3.64078
H 3.21446 -11.70379 -0.58323
H -10.31532 6.42003 0.29040
H 0.86172 -0.00727 -6.79241
H -1.84363 8.38353 0.68083
H -6.39969 -1.78157 6.72987
H 2.03652 4.25946 6.54560
H 2.88211 -5.09256 3.69764
H -3.89521 -7.60271 0.38626
H 0.79499 -7.24974 -7.11875
H -3.75302 -9.90665 -0.19426
H 4.45285 -4.48426 4.01649
H 4.78869 5.31163 5.73185
H 4.12656 8.79211 -3.63769
H 6.47254 -5.30290 -2.23210
H -1.93116 1.76878 0.63216
H -1.29525 1.50325 -0.97382
H -2.93152 9.33987 -0.96233
H 0.77962 1.37380 0.12143
H -5.23069 -7.15092 -0.47239
H 1.68655 -12.35575 0.29434
H -9.15959 6.75504 3.13651
H 0.37895 -4.99112 -6.90057
H -0.65061 0.84783 -8.89121
H 5.79137 3.90462 -2.01885
H 3.40946 8.48613 -5.88958
H 3.28061 3.24965 6.18356
H -5.68098 -1.89766 8.30636
H -4.85710 -9.53168 -1.55493
H -10.81006 5.58509 1.79474
H 3.50582 -2.51914 2.79911
H -4.49708 8.59910 -0.58279
H 7.92625 -2.58662 -1.74075
____________

Exercise:
Duplicate the whole of the notes further up word for word, please.

Here it is:
143
Properties=species:S:1:pos:R:3 method="wB97M-V/def2-TZVPD" relative_energy_kj_mol=1148.7 lumo_ev=-0.17 gap_ev=10.74 e_tot_ha=-10110.11225
S -1.05539 -1.40164 -0.57261
S -2.31951 -7.14268 -6.08529
S 4.94958 -2.59614 -2.65032
S -3.46795 9.96973 2.22416
S -6.15930 -9.62831 1.65268
S 3.35509 -2.96434 6.30478
S 1.77122 6.73834 -3.65815
S 8.66800 4.99751 -0.60334
S -2.04834 1.59437 -5.96008
S -3.98074 0.28188 6.34476
S -7.49134 5.32198 1.10355
S 2.05948 5.72154 4.01105
S 2.13585 -9.00585 -0.63010
O -1.27663 -2.70533 0.15833
O -5.32126 0.93917 7.08799
O 2.80038 -9.33511 0.91935
O 7.79435 4.20293 -1.76341
O -7.84924 6.86519 1.52322
O -3.23571 -7.80436 -7.01858
O 2.62873 4.21743 4.54113
O -5.28452 -10.05115 2.71791
O -0.92926 -1.43698 -2.02440
O -6.87029 5.38253 -0.20906
O 6.50567 -2.62072 -3.22565
O -4.40373 -1.19720 6.85483
O 0.27875 -0.54251 0.00528
O 0.66709 5.90104 4.50016
O 5.25699 -3.98037 -1.63464
O -2.12843 1.29398 -7.56957
O -4.43653 10.35465 3.30433
O 1.52429 -10.51633 -0.70614
O -4.02729 10.18421 0.63366
O 3.47285 -2.12606 4.84013
O -3.44039 8.30313 2.03895
O 3.26281 6.97070 -3.06504
O -2.14986 3.04156 -6.01249
O -4.30000 0.36758 4.93054
O 0.81969 7.75978 -3.35764
O -0.78712 -7.93041 -6.01164
O 1.39037 5.39867 -3.38630
O 7.60748 4.53922 0.58478
O -2.97161 0.77587 -5.19696
O -9.12395 4.97207 0.94828
O -1.56080 -5.79106 -6.73676
O 3.26933 6.41330 4.92476
O -2.62382 0.63921 6.88186
O 8.63793 6.44326 -0.83016
O 2.33509 6.79111 -5.18140
O -2.09406 -0.18968 -0.08879
O 3.22712 -4.44715 5.59977
O 4.06715 -2.88354 -3.78832
O 1.14245 -7.91667 -0.58645
O -2.11094 10.46565 2.37646
O -2.64792 -6.88282 -4.66490
O 4.60560 -2.92922 7.06971
O 3.19189 -8.84435 -1.66180
O 9.96563 4.29685 -0.39387
O 2.06491 -2.63801 7.01461
O -7.56772 -9.87351 1.94784
O -0.45044 1.13797 -5.71530
O -5.66973 -10.23074 0.16569
O -6.76569 4.57115 2.15078
O 4.73279 -1.38367 -1.91679
O -5.91285 -8.07934 1.15232
O 2.35637 5.86813 2.63500
C -1.42279 1.03774 0.00349
C -9.98090 6.04630 1.25819
C -4.88671 -7.98352 0.14124
C 7.36598 -3.26919 -2.37974
C 6.32094 4.40269 0.07596
C -0.22325 -5.63163 -6.25620
C -5.72704 -1.26869 7.41732
C 3.39851 -4.26727 4.18788
C 4.07353 7.73967 -3.91638
C -4.69121 -9.43232 -0.48221
C 0.26078 -7.03129 -6.19410
C 2.93051 4.24823 5.92209
C 0.16419 0.81233 -6.96503
C 3.43712 7.55558 -5.32265
C 6.55542 3.69756 -1.26956
C 6.52982 -4.34230 -1.72016
C -0.01139 0.74063 0.52329
C 2.85507 -10.74448 1.21609
C -1.01287 0.49525 -7.92552
C -6.15090 0.09008 7.78312
C -9.12348 6.93514 2.06210
C 3.05826 -2.88141 3.72461
C -3.62405 9.09397 -0.15731
C -2.89634 8.10621 0.73566
C 2.32022 -11.51539 0.01085
C 3.75280 5.57067 5.95073
H 8.15637 -3.74892 -2.95703
H -7.22281 0.22298 7.63663
H 0.74254 1.63934 -7.37694
H -9.51659 7.95154 2.03907
H 5.05335 7.26392 -3.95770
H 3.87312 5.99197 6.94880
H 0.00491 -5.26414 -5.25570
H -2.97918 7.06521 0.42333
H 3.91908 -10.97112 1.28392
H 5.71829 3.71028 0.66374
H 5.89850 5.37814 -0.16513
H 0.06605 0.58641 1.59955
H 1.07841 -7.06191 -5.47394
H -5.99514 0.31496 8.83823
H 4.14209 6.94656 -5.88852
H 6.81143 -4.59394 -0.69766
H 1.98893 -2.68751 3.64078
H 3.21446 -11.70379 -0.58323
H -10.31532 6.42003 0.29040
H 0.86172 -0.00727 -6.79241
H -1.84363 8.38353 0.68083
H -6.39969 -1.78157 6.72987
H 2.03652 4.25946 6.54560
H 2.88211 -5.09256 3.69764
H -3.89521 -7.60271 0.38626
H 0.79499 -7.24974 -7.11875
H -3.75302 -9.90665 -0.19426
H 4.45285 -4.48426 4.01649
H 4.78869 5.31163 5.73185
H 4.12656 8.79211 -3.63769
H 6.47254 -5.30290 -2.23210
H -1.93116 1.76878 0.63216
H -1.29525 1.50325 -0.97382
H -2.93152 9.33987 -0.96233
H 0.77962 1.37380 0.12143
H -5.23069 -7.15092 -0.47239
H 1.68655 -12.35575 0.29434
H -9.15959 6.75504 3.13651
H 0.37895 -4.99112 -6.90057
H -0.65061 0.84783 -8.89121
H 5.79137 3.90462 -2.01885
H 3.40946 8.48613 -5.88958
H 3.28061 3.24965 6.18356
H -5.68098 -1.89766 8.30636
H -4.85710 -9.53168 -1.55493
H -10.81006 5.58509 1.79474
H 3.50582 -2.51914 2.79911
H -4.49708 8.59910 -0.58279
H 7.92625 -2.58662 -1.74075